
this message may be offensive
Reason 100000000028 for why I don't step out of my house unless it's absolutely needed :
          	I am sitting in an auto , and there's a lady ( who's very interested in my phone) , so I'm scrolling through my phone and my mum sent me a text saying she needed a certain picture , so I went to scroll through my photos and all of a sudden my finger is pressed on a Larry manip where they are drying off their heads with pink towels and they are naked , COMPLETELY NAKED , like their complete and utter nudity , so I clicked back , as fast I could ( my reflex is terrible) and I just turned to see if she saw what it was and her face was literally like ⊙⁠.⁠☉ ! 
          	I am so fucking ashamed of myself right now , y'all cannot even fathom - 

Next to the page, the page also holds calculated molecules.
=====
ORCA calculation (ωB97M-V with the def2-TZVPD basis set) on 4 unconnected molecules or ions with the total composition C23H28BrNO14S4.

Output
orbital gap = 8.389 eV
ΔE to the lowest compared entry with this formula, charge and spin = 37.10 kJ/mol
HOMO energy = -0.303 Ha
SMILES string = C[C@@H](O)Cc1ccc2c(c1)Nc1cc(CC=O)cc(Br)c1S2.O=S1(=O)OCCO1.O=S1(=O)OCCO1.O=S1(=O)OCCO1

Element x y z (Å)
C 4.3829 -2.0295 0.2964
C 3.7998 -1.4892 -1.0145
O 2.9904 -2.4551 -1.6806
C 3.0823 -0.1287 -0.9102
C 1.8110 -0.0503 -0.0415
C 1.7468 -0.1148 1.3452
C 0.5570 0.0253 2.0605
C -0.5873 0.2302 1.3303
C -0.5914 0.2920 -0.0419
C 0.6099 0.1482 -0.6986
N -1.7529 0.5309 -0.8224
C -2.9284 -0.1045 -0.3849
C -3.8229 -0.6150 -1.3054
C -4.9999 -1.2349 -0.9328
C -5.9271 -1.7803 -2.0107
C -6.9928 -2.7351 -1.4614
O -6.7237 -3.8320 -1.0156
C -5.2976 -1.3639 0.4050
C -4.4400 -0.8446 1.3510
Br -4.8427 -1.0020 3.2112
C -3.2780 -0.2254 0.9519
S -2.1558 0.4600 2.1614
H 4.0242 -3.0496 0.5408
H 4.2232 -1.3887 1.1667
H 5.4710 -2.1335 0.2010
H 4.6523 -1.3284 -1.6885
H 2.8350 -3.2029 -1.0954
H 2.7561 0.1060 -1.9327
H 3.7532 0.6869 -0.6228
H 2.6492 -0.2383 1.9388
H 0.5250 -0.0062 3.1444
H 0.6169 0.1959 -1.7879
H -1.5823 0.3760 -1.8056
H -3.6457 -0.5412 -2.3797
H -6.3782 -0.9746 -2.6021
H -5.3333 -2.3822 -2.7138
H -8.0599 -2.4148 -1.5153
H -6.1945 -1.8665 0.7539
C -3.6604 3.7052 -0.6383
C -4.1010 3.2072 0.7189
O -4.0377 4.3627 1.5655
S -4.3886 5.6721 0.7076
O -5.7552 5.9950 0.9012
O -3.3555 6.6226 0.8994
O -4.2310 5.0157 -0.7508
H -2.5736 3.7980 -0.6940
H -4.0108 3.0688 -1.4474
H -3.4590 2.4167 1.0982
H -5.1367 2.8573 0.6971
C 5.3640 4.1229 -2.9820
C 6.2299 4.6317 -1.8492
O 6.6150 3.4519 -1.1344
S 6.7552 2.2256 -2.1624
O 8.1185 2.0761 -2.5132
O 5.9783 1.1455 -1.6736
O 5.9874 2.9034 -3.3996
H 4.3538 3.8907 -2.6374
H 5.3108 4.8237 -3.8112
H 5.7005 5.3186 -1.1945
H 7.1356 5.1130 -2.2250
C 0.4504 -3.6749 3.2054
C 1.3567 -4.5672 4.0293
O 1.5299 -5.7534 3.2181
S 1.4611 -5.3087 1.6675
O 2.7895 -5.1144 1.2015
O 0.5266 -6.1342 1.0000
O 0.8539 -3.8590 1.8708
H -0.5954 -3.9799 3.2964
H 0.5514 -2.6274 3.4807
H 0.9433 -4.8132 5.0031
H 2.3413 -4.1113 4.1579

***

ORCA calculation (ωB97M-V with the def2-TZVPD basis set) on a molecular structure, C23H28Cl3N4O5SV.

Output
multiplicity = 4
orbital gap (alpha / beta) = 5.130 / 6.614 eV
HOMO energy (alpha / beta) = -0.105 / -0.159 Ha
net charge = -1

Element x y z (Å)
V 0.9306 -0.6591 0.0478
N -0.2292 -4.5284 1.3981
C 0.4943 -3.3795 1.0952
S 0.2360 -1.9598 2.0885
N 1.3213 -3.4954 0.0977
N 1.9250 -2.2697 -0.2344
C 3.0241 -2.3217 -0.8928
C 3.8196 -1.1504 -1.2415
C 4.9017 -1.3337 -2.1082
C 5.7473 -0.3030 -2.4631
C 5.5252 0.9612 -1.9014
C 4.4791 1.1762 -1.0317
C 3.5655 0.1481 -0.6937
O 2.5694 0.4067 0.1014
H -0.4289 -4.6195 2.3816
H 0.1696 -5.3558 0.9780
H 3.3894 -3.3061 -1.1801
H 5.0643 -2.3269 -2.5187
H 6.5582 -0.4671 -3.1618
H 6.1866 1.7845 -2.1537
H 4.3005 2.1517 -0.5952
Cl -1.0717 4.4363 -4.6903
C -0.4639 3.0033 -3.8799
C -0.6161 2.8726 -2.5164
=====
The page goes on.


@LarrysWornoutCloset fair fair but still
          	  its weird when strangers look at your phone
          	  i keep all my manips/1d/larry-related stuff in my locked folder and i'm dreading the day i get dared to show a few photos from there because they are LITERALLY all 1D-related in SOME way


this message may be offensive
Reason 100000000028 for why I don't step out of my house unless it's absolutely needed :
          I am sitting in an auto , and there's a lady ( who's very interested in my phone) , so I'm scrolling through my phone and my mum sent me a text saying she needed a certain picture , so I went to scroll through my photos and all of a sudden my finger is pressed on a Larry manip where they are drying off their heads with pink towels and they are naked , COMPLETELY NAKED , like their complete and utter nudity , so I clicked back , as fast I could ( my reflex is terrible) and I just turned to see if she saw what it was and her face was literally like ⊙⁠.⁠☉ ! 
          I am so fucking ashamed of myself right now , y'all cannot even fathom - 


@LarrysWornoutCloset fair fair but still
            its weird when strangers look at your phone
            i keep all my manips/1d/larry-related stuff in my locked folder and i'm dreading the day i get dared to show a few photos from there because they are LITERALLY all 1D-related in SOME way

Calculated molecules that have nothing to do with the article >
/*
{
  "formula": "C10H15N2O3",
  "method": "ωB97M-V/def2-TZVPD",
  "symbols": ["C", "C", "C", "C", "C", "C", "C", "C", "C", "C", "N", "N", "O", "O", "O", "H", "H", "H", "H", "H", "H", "H", "H", "H", "H", "H", "H", "H", "H", "H"],
  "xyz": [[1.706451, -0.837993, 0.973101], [3.023524, -0.977951, 0.798706], [2.399019, 0.990306, -0.130175], [1.290726, 0.349723, 0.262924], [-0.075595, 0.869220, 0.191702], [-2.407161, 1.550033, -1.271535], [-3.093163, -0.759545, -0.887156], [-3.064517, 0.828422, 1.068087], [6.096673, -0.773369, -0.396934], [-2.372667, 0.358517, -0.236026], [3.547444, 0.159807, 0.109970], [4.751254, 0.472888, -0.275265], [-0.312266, 2.028846, 0.365787], [4.954473, 1.536054, -0.791979], [-1.025172, -0.032865, -0.025435], [1.105556, -1.555747, 1.434717], [3.738792, -1.754155, 1.304126], [2.327194, 1.804707, -0.875550], [-1.725363, 1.503006, -2.125192], [-3.369034, 1.501119, -1.601110], [-2.048369, 2.432721, -0.782480], [-2.885122, -1.609949, -0.280397], [-2.724222, -0.879552, -1.877102], [-4.087151, -0.488324, -0.843876], [-4.084231, 0.706725, 1.047045], [-2.802967, 0.109109, 1.896389], [-2.837474, 1.942661, 1.319576], [5.350352, -1.572492, -0.716320], [6.637952, -0.929518, 0.548527], [6.811064, -0.306662, -1.063113]],
  "atomic_forces_ev_per_a": [[1.048, 0.119, -1.311], [2.843, -2.304, 1.928], [-0.452, 1.090, -2.253], [0.928, -0.575, 1.161], [-1.836, 0.543, -0.014], [2.719, -0.752, 1.512], [1.984, -0.450, 0.945], [3.166, 0.687, 1.159], [-2.836, 0.105, 0.603], [-0.681, 3.390, -1.003], [-2.171, 0.327, 0.306], [2.495, -0.273, -0.772], [0.713, 0.823, 0.212], [-0.096, -0.910, 0.587], [1.964, -1.456, 0.359], [-0.877, -0.792, 0.718], [-1.479, 1.725, -1.272], [0.899, -0.348, 0.900], [-0.054, -0.878, -0.041], [-2.710, 0.816, -1.063], [-0.854, 0.755, 0.179], [-0.268, -1.176, 0.182], [0.077, -0.376, -0.867], [-2.262, 0.091, -0.277], [-2.534, -0.017, -0.666], [0.269, 0.988, -0.531], [-0.168, -2.205, -0.233], [1.837, 0.759, 0.147], [-1.013, 0.143, 0.092], [-0.649, 0.149, -0.688]],
  "lumo_energy_ev": [-6.062, -6.062],
  "homo_energy_ev": [-13.1810, -13.1810],
  "total_charge": 1
}

{
  "formula": "C10H15N3",
  "method": "ωB97M-V/def2-TZVPD",
  "symbols": ["C", "C", "C", "C", "C", "C", "C", "C", "C", "C", "N", "N", "N", "H", "H", "H", "H", "H", "H", "H", "H", "H", "H", "H", "H", "H", "H", "H"],
*/


Cheers to me , I have an exam in like 5 hours and I just finished reading like 4 Larry one shots ? 
          Then scrolled through some HS and LT and 1D thirst posts on X and now I'm on my way to pinterest to get some inspo for my scrapbook ? 
          What has my life come to ? ToT


@LarrysWornoutCloset procrastination and panic at its finest, 
            and its painfully understandable and atp u have to start praying deadass


          Also , people are scaring me by saying Louis has a girlfriend? ToT


@kloetomlinson I think we're all just looking way too much into it yk  


@temptingstyles as far as I'm aware he followed her on insta and then people started assuming lol. There's no actual proof of anything 


@kloetomlinson babe I have them on snap I swear none of them have posted a story about him being / not-being in a relationship. 
            U don't even have snap and saying I'm winding ppl up is crazy when I never said anything I only stated POSSIBILITIES deadass